File =
~~~
# 1
C18H36AsF6O18RbTl as an isolated structure in a non-equilibrium geometry. Source: the OMol25 dataset; level of theory: ωB97M-V with the def2-TZVPD basis set.

The geometry in ORCA input format:
```
! wB97M-V def2-TZVPD RIJCOSX def2/J DEFGRID3
* xyz 3 1
Rb 3.8262 -23.3530 13.3136
Tl 4.1631 -20.3398 3.6312
As 0.6092 -19.2732 9.2980
F -0.4711 -19.2592 10.6841
F 0.0737 -17.7167 8.6399
F 1.7508 -19.5345 7.9196
F 1.2593 -20.8556 9.8975
F -0.5833 -20.3073 8.4139
F 1.8150 -18.4288 10.2860
C -3.9408 -19.3052 21.3761
O -4.1208 -18.9969 20.0232
C -3.0474 -18.7205 19.2637
O -1.8911 -19.0201 19.4960
O -3.4800 -18.0759 18.1625
C -2.6573 -18.0370 16.9888
H -3.6914 -18.3612 21.8607
H -3.1727 -20.0780 21.4060
H -4.8382 -19.7164 21.8384
H -2.7766 -17.1300 16.3963
H -2.8089 -18.9658 16.4387
H -1.5949 -17.9365 17.2106
C -2.5404 -24.1975 11.7135
O -2.6303 -25.3644 12.5216
C -1.5264 -25.8094 13.1801
O -0.3441 -25.3843 13.0905
O -1.9581 -26.8641 13.9196
C -1.2714 -27.7374 14.8259
H -3.3093 -24.2162 10.9412
H -1.5786 -24.2489 11.2031
H -2.6152 -23.3058 12.3358
H -0.8584 -27.1546 15.6492
H -0.3924 -28.2335 14.4144
H -1.9453 -28.5083 15.1998
C 3.3501 -13.4516 8.4299
O 3.5224 -14.4403 7.4414
C 2.8996 -14.5302 6.2122
O 2.9088 -15.5086 5.5131
O 2.2924 -13.3551 5.8856
C 1.6538 -13.2599 4.6242
H 2.3066 -13.5764 8.7190
H 3.5500 -12.4320 8.1002
H 3.9732 -13.7586 9.2699
H 0.8976 -12.4770 4.6834
H 1.1318 -14.1082 4.1814
H 2.3236 -12.7361 3.9422
C 9.9935 -15.6593 8.3139
O 9.1981 -16.4644 7.5491
C 8.1851 -17.2925 8.0110
O 7.4581 -17.9693 7.2825
O 8.0481 -17.1917 9.2560
C 7.5386 -18.2038 10.1045
H 10.6020 -15.0653 7.6320
H 10.7549 -16.1394 8.9286
H 9.4479 -14.9734 8.9619
H 8.3794 -18.6647 10.6229
H 7.0414 -19.0166 9.5752
H 6.9031 -17.7515 10.8658
C 1.3599 -8.1939 8.4129
O 0.2477 -8.9116 7.9391
C -0.4653 -9.6124 8.7443
O -0.2716 -9.7940 9.9283
O -1.3151 -10.2718 7.9668
C -2.1264 -11.2401 8.5173
H 1.8934 -7.6997 7.6010
H 2.0463 -8.8834 8.9044
H 0.9940 -7.5096 9.1783
H -3.1441 -11.3632 8.1468
H -2.2632 -11.1518 9.5951
H -1.6369 -12.1971 8.3367
C -1.8844 -25.7605 5.1311
O -0.7955 -24.8950 5.0114
C 0.1992 -24.8327 5.9507
O 1.2077 -24.1317 5.7600
O -0.0688 -25.6273 6.9941
C 0.9577 -26.0057 7.8322
H -2.7172 -25.3271 5.6850
H -1.6812 -26.7744 5.4757
H -2.2988 -25.9106 4.1342
H 0.6075 -26.4376 8.7697
H 1.5597 -25.1725 8.1948
H 1.7136 -26.6318 7.3582
*
```

**DFT total energy**: -138563.74978 eV
**Strongest force on any atom**: 3.89 eV/Å
**Relative energy (zero: lowest compared OMol25 entry of this formula, charge and spin)**: 4.892 eV
**Molecular weight**: 1019.229 g mol⁻¹

***

# 2
A 4-piece molecular cluster, C18H36B3IO14 overall in a non-equilibrium geometry. Source: the OMol25 dataset; level of theory: ωB97M-V with the def2-TZVPD basis set.

The geometry in ORCA input format:
```
! wB97M-V def2-TZVPD RIJCOSX def2/J DEFGRID3
* xyz 0 1
C 0.0714 -3.6375 2.0789
B -0.9219 -3.4642 0.7755
O -0.2617 -3.5855 -0.5713
B -0.3313 -2.1703 -1.0812
C 0.9924 -1.2410 -1.3855
C 2.1594 -1.2965 -0.2358
C 1.9015 -0.2626 1.0388
I 1.7716 1.8588 0.4201
O -1.7199 -1.6383 -1.2512
B -2.5615 -1.9584 -0.0799
C -3.8013 -0.8745 0.2363
C -5.2682 -1.5913 0.3886
O -6.1935 -1.6938 -0.5988
O -5.6279 -2.1256 1.7237
O -2.3659 -3.1599 0.8063
H -0.5151 -3.5690 3.0914
H 0.9035 -2.7884 1.9694
H 0.6266 -4.6833 1.9312
H 1.4859 -1.6584 -2.3892
H 0.6508 -0.1479 -1.6294
H 3.1749 -0.9300 -0.7372
H 2.3988 -2.3980 0.1568
H 2.8998 -0.3293 1.6905
H 1.0118 -0.5934 1.7327
H -3.5767 -0.2919 1.2424
H -3.9062 -0.0921 -0.6590
H -5.7885 -1.3329 2.3325
C -3.8311 6.5318 3.4387
C -3.6185 5.3376 4.3523
O -3.6321 4.1169 3.6024
C -2.4823 3.8181 2.9477
O -1.4589 4.4836 2.9524
O -2.6747 2.6615 2.2650
C -1.5615 2.2718 1.4645
H -4.7379 6.4017 2.8385
H -3.9194 7.4537 4.0205
H -2.9996 6.6458 2.7366
H -4.4432 5.2784 5.0705
H -2.6930 5.4313 4.9319
H -0.6386 2.2422 2.0524
H -1.4571 2.9541 0.6151
H -1.7552 1.2667 1.0798
C -4.8008 -1.4670 -4.0789
C -3.4094 -0.8591 -4.1020
O -2.6426 -1.3893 -5.1898
C -2.8976 -0.8465 -6.4064
~~~

Activity =
Count the lines earlier on that contain the word "zero" and give the number alone, please.

Worked solution =
1